LegCo Paper No. CB(1)1671/96-97
(These minutes have been
seen by the Administration)
Ref : CB1/BC/3/96/2
### Records of crystals, as found in the file
____________
Model a:
# Sc3MnRh

An optimized crystal structure of Sc3MnRh (PBE, Alexandria).

Summary:
- Density: 4.8 g cm⁻³
- Space group: Pm-3m (221)
- Crystal system: cubic

The structure in POSCAR format:
```
Sc3MnRh
1.0
4.649 0.000 0.000
0.000 4.649 0.000
0.000 0.000 4.649
Sc Mn Rh
3 1 1
Cartesian
0.000 0.000 2.324 Sc
0.000 2.324 0.000 Sc
2.324 0.000 0.000 Sc
0.000 0.000 0.000 Mn
2.324 2.324 2.324 Rh
```

Model b:
# Sc3MnRh

An optimized crystal structure of Sc3MnRh (PBE, Alexandria).

Summary:
- Density: 3.9 g cm⁻³
- Space group: Pm-3m (221)
- Crystal system: cubic

The structure in POSCAR format:
```
Sc3MnRh
1.0
4.979 0.000 0.000
0.000 4.979 0.000
0.000 0.000 4.979
Sc Mn Rh
3 1 1
Cartesian
0.000 0.000 2.489 Sc
0.000 2.489 0.000 Sc
2.489 0.000 0.000 Sc
2.489 2.489 2.489 Mn
0.000 0.000 0.000 Rh
```

model b is preferred energetically. Next in line: 144 meV per atom higher.

Model a:
# Mn3RhSe

An optimized crystal structure of Mn3RhSe (PBE, Alexandria).

Summary:
- Density: 5.2 g cm⁻³
- Space group: Pm-3m (221)
- Crystal system: cubic

The structure in POSCAR format:
```
Mn3RhSe
1.0
4.808 0.000 0.000
0.000 4.808 0.000
0.000 0.000 4.808
Mn Rh Se
3 1 1
Cartesian
0.000 0.000 2.404 Mn
0.000 2.404 0.000 Mn
2.404 0.000 0.000 Mn
0.000 0.000 0.000 Rh
2.404 2.404 2.404 Se
```

Model b:
# Mn3RhSe

An optimized crystal structure of Mn3RhSe (PBE, Alexandria).

Summary:
- Density: 7.5 g cm⁻³
- Space group: Pm-3m (221)
- Crystal system: cubic

The structure in POSCAR format:
```
Mn3RhSe
1.0
4.247 0.000 0.000
0.000 4.247 0.000
0.000 0.000 4.247
Mn Rh Se
3 1 1
Cartesian
0.000 0.000 2.123 Mn
0.000 2.123 0.000 Mn
2.123 0.000 0.000 Mn
2.123 2.123 2.123 Rh
0.000 0.000 0.000 Se
```

model a is preferred energetically. Next in line: 394 meV per atom higher.

Model a:
# MnSiRh3

An optimized crystal structure of MnSiRh3 (PBE, Alexandria).

Summary:
- Density: 7.5 g cm⁻³
- Space group: Pm-3m (221)
- Crystal system: cubic

The structure in POSCAR format:
```
MnSiRh3
1.0
4.420 0.000 0.000
0.000 4.420 0.000
0.000 0.000 4.420
Mn Si Rh
1 1 3
Cartesian
0.000 0.000 0.000 Mn
2.210 2.210 2.210 Si
0.000 0.000 2.210 Rh
0.000 2.210 0.000 Rh
2.210 0.000 0.000 Rh
```

Model b:
# MnSiRh3

An optimized crystal structure of MnSiRh3 (PBE, Alexandria).

Summary:
- Density: 7.9 g cm⁻³
- Space group: Pm-3m (221)
- Crystal system: cubic

The structure in POSCAR format:
```
MnSiRh3
1.0
4.347 0.000 0.000
0.000 4.347 0.000
0.000 0.000 4.347
Mn Si Rh
1 1 3
Cartesian
0.000 0.000 0.000 Mn
2.174 2.174 2.174 Si
0.000 2.174 2.174 Rh
2.174 0.000 2.174 Rh
2.174 2.174 0.000 Rh
```

model b is preferred energetically. Next in line: 330 meV per atom higher.

Model a:
# MnSnRh3

An optimized crystal structure of MnSnRh3 (PBE, Alexandria).

Summary:
- Density: 8.9 g cm⁻³
- Space group: Pm-3m (221)
- Crystal system: cubic

The structure in POSCAR format:
```
MnSnRh3
1.0
4.481 0.000 0.000
0.000 4.481 0.000
0.000 0.000 4.481
Mn Sn Rh
1 1 3
Cartesian
0.000 0.000 0.000 Mn
2.241 2.241 2.241 Sn
0.000 0.000 2.241 Rh
____________
Bills Committee on Education (Amendment) Bill 1996
Minutes of Meeting held on Tuesday, 8 April 1997, at 2:30 p.m. in Conference Room A of the Legislative Council Building
Members present:
Member absent:
Hon LEUNG Yiu-chung
Public officers attending:
Items II & III
Miss Annettee LEE
- Principal Assistant Secretary for
- Education and Manpower
- Assistant Director of Education
Mr G A Fox
- Senior Assistant Law Draftsman
- Legal Department
Clerk in attendance :
Miss Polly YEUNG
- Chief Assistant Secretary (1)3
Staff in attendance :
Miss Anita HO
- Assistant Legal Adviser 5
Ms Connie SZETO
- Senior Assistant Secretary (1)5
I.Confirmation of minutes of meeting and matters arising
(LegCo Paper No. CB(1)1109/96-97)
The minutes of the meeting held on 12 March 1997 were confirmed without amendment.
II.Briefing by Hon Christine LOH
2. Upon invitation by the Chairman, Miss Christine LOH, Member-in-charge of the Bill, explained that the Bill sought to repeal section 84(1)(m) of the Education Ordinance (Cap. 279) (EO) which empowered the Governor in Council to make regulations for the control of political expression in schools. It would also require the consequential repeal of regulation 98(2) of the Education Regulations (ER) conferring power on the Director of Education (D of E) to give directions or guidance to schools to ensure that political information or opinion disseminated in schools was unbiased. She also highlighted the following concerns :
- the aforesaid section and regulation were obsolete under the present political climate since exposure to and discussion of different political opinions had become an integral part of civic education;
- there was no good reason to single out information or opinion of a political nature as the subject of statutory control. Indeed, the Administration had previously proposed to repeal section 84(1)(m) in the Education (Amendment) Bill 1990 but it was Members view there and then that it should be preserved and amended to its present form;
- the arbitrary power conferred on the Administration to decide whether certain information was of a politically biased nature might be further applied in the wider context to control student activities; and
- there was no practical need to retain section 84(1)(m) of the EO and regulation 98(2) of the ER since the D of E could avail himself of the power under regulation 98(1) of the ER to restrict any school activities that might be "prejudicial to the welfare of the pupils or to their education generally".
III.Discussion with the Administration
(LegCo Paper No. CB(1)1195/96-97(01))
The Administrations stance
3. In explaining the Administrations position on the Bill, the Principal Assistant Secretary for Education and Manpower (PAS/E&M) explained that the present provisions of section 84(1)(m) and regulation 98(2) had been finalized after extensive deliberations at LegCo. So far, the provisions had been observed by schools which considered the present arrangements satisfactory. The Administration was of the view that the relevant provisions should be retained to provide the D of E with the necessary power to safeguard students against undue political influence. These provisions had served useful purposes in promoting the awareness and self-discipline on the part of schools in ensuring a balanced and objective approach in presenting information of a political nature to students.
4. In response, Miss LOH stressed that the Bill, if enacted, would not interfere with the important principles that teaching of civic education and political issues in schools should be conducted objectively and in a balanced manner.
Judgement on the nature of information or opinion
5.Mr CHEUNG Man-kwong shared the concerns of Miss LOH and opined that the value judgement on whether certain information or opinion was politically biased should not be made by the Government but by the teaching profession or the future General Teaching Council (GTC). He also referred to an article about a debate in the House of Lords in the UK in 1986 which concluded that it was inappropriate to legislate for the control of dissemination of political information or opinion in schools. He urged the Administration to reconsider the Bill in the light of the above arguments. Referring to the Administrations minimal intervention over the use of school textbooks vis a vis the regulatory powers available under the said section 84(1)(m) and regulation 98(2), Mr Cheung considered that the Administration had in fact adopted a double standard in educational matters.
(Post meeting note : Mr CHEUNG Man-kwong provided the said article after the meeting which was circulated vide LegCo Paper No. CB(1)1256/96-97.)
6. Responding to Mr CHEUNGs point that the judgement on whether certain information or opinion was politically biased should be made by the future GTC rather than by the D of E, PAS/E&M pointed out that the EO empowered the Director to play an effective role in monitoring schools to ensure that education was properly conducted. In the process, the Director could consult relevant bodies as she deemed appropriate.
7. Concerning the policy on the use of school textbooks, the Assistant Director of Education said that although schools were free to use any textbook outside the EDs Recommended List of Textbooks, the D of E could give directions or guidance to the schools concerned to ensure that the teaching materials adopted were accurate.
The scope of regulation 98(1) of the ER
8. PAS/E&M expressed reservations on Miss LOHs suggestion that the D of E might still achieve the purpose by invoking regulation 98(1) since the expression "the welfare of the pupils" might be construed as being inclusive of the well-being of the pupils to be free from biased political information. According to legal advice, it was not sufficiently clear that the activity of dissemination of political information would be caught by the term "welfare". The Senior Assistant Law Draftsman added that any party aggrieved with the Administrations decisions made under regulations 98(1) and 98(2) could appeal to the court which had the ultimate authority for interpreting the concerned provisions.
9. In reply to the Chairman, the Assistant Legal Adviser 5 (ALA5) agreed that it was the responsibility of the court to interpret the provisions. In doing so, it was likely that the court would draw reference to the dictionary meaning of the term "welfare" and similar precedent court cases. ALA5 informed the meeting that the term "welfare" had a very wide meaning in the context of family law. As regards the legal effects of the guidelines issued under regulation 98(2), ALA5 said that it was necessary to distinguish between regulations and guidelines. The former were statutory rules contravention of which would result in penalties while the latter were usually not legally binding.
Members concerns
10. While Mr CHEUNG Man-kwong was in support of the Bill, other members present at the meeting expressed their reservations. Messrs IP Kwok-him and Ambrose LAU were of the view that schools should be free from politically biased discourse. They were inclined to retain the relevant provisions as a last resort to enable the Administration to intervene in proven cases of dissemination and expression of politically biased information or opinion. Dr LAW Cheung-kwok concurred that at present, it was necessary for the Administration to retain such a regulatory power. He opined that if the proposed GTC was established, the need for these provisions could be reviewed.
[Misplaced data records]
'''
1.
Density functional theory data (PBE-GGA) for a relaxed structure of Rb3Ce2TmSe6.

## Properties
Formation energy (no corrections): -1.68 eV per atom
Crystal system: monoclinic
Symmetry: C2/m, No. 12
Volume: 32.6 Å³/atom

abc: 7.5229 7.5229 8.3690
angles: 98.62 98.62 120.00
Sites, in units of the cell vectors:
Rb: 0.0000 0.0000 0.0000
Rb: 0.3320 0.6680 0.0000
Rb: 0.6680 0.3320 0.0000
Ce: 0.1665 0.8335 0.5000
Ce: 0.8335 0.1665 0.5000
Tm: 0.5000 0.5000 0.5000
Se: 0.1121 0.4343 0.3029
Se: 0.2438 0.2438 0.6975
Se: 0.4343 0.1121 0.3029
Se: 0.5657 0.8879 0.6971
Se: 0.7562 0.7562 0.3025
Se: 0.8879 0.5657 0.6971


2.
Density functional theory data (PBE-GGA) for a relaxed structure of ZrMoC2.

## Properties
Distance to the lowest polymorph of the same formula: 416 meV per atom
Crystal system: orthorhombic
Energy of formation: 54.3 meV/atom
Symmetry: Amm2, No. 38
Volume: 12.3 Å³/atom

abc: 3.1707 5.2880 5.2880
angles: 33.85 90.00 90.00
Sites, in units of the cell vectors:
Zr: 0.0000 0.0000 0.0000
Mo: 0.5000 0.2681 0.2681
C: 0.0000 0.7204 0.7204
C: 0.5000 0.4600 0.4600


3.
Density functional theory data (PBE-GGA) for a relaxed structure of Li2YBr4.

## Properties
Formation energy (no corrections): -1.41 eV per atom
Crystal system: tetragonal
Symmetry: I4/m, No. 87
Volume: 33.1 Å³/atom

abc: 6.7349 6.7349 6.7349
angles: 105.74 105.74 117.22
Sites, in units of the cell vectors:
Li: 0.2500 0.7500 0.5000
Li: 0.7500 0.2500 0.5000
Y: 0.0000 0.0000 0.0000
Br: 0.1434 0.3154 0.4588
Br: 0.3154 0.8566 0.1720
Br: 0.6846 0.1434 0.8280
Br: 0.8566 0.6846 0.5412


4.
Density functional theory data (PBE-GGA) for a relaxed structure of LiCdRh.

## Properties
Crystal system: orthorhombic
Energy of formation: -38.6 meV/atom
Symmetry: Fmm2, No. 42
Volume: 16.3 Å³/atom

abc: 7.3155 7.0802 2.8017
angles: 83.54 74.09 22.37
Sites, in units of the cell vectors:
Li: 0.0000 0.0000 0.0000
Cd: 0.6822 0.6822 0.3178
Rh: 0.3533 0.3533 0.6467


5.
Density functional theory data (PBE-GGA) for a relaxed structure of TaTcP2Cl.

## Properties
Formation energy (no corrections): 1.63 eV per atom
Distance to the lowest polymorph of the same formula: 886 meV per atom
Crystal system: tetragonal
Symmetry: P4/mmm, No. 123
Volume: 18.1 Å³/atom

abc: 4.5311 4.5311 4.4134
angles: 90.00 90.00 90.00
Sites, in units of the cell vectors:
Ta: 0.0000 0.0000 0.0000
Tc: 0.5000 0.5000 0.0000
P: 0.0000 0.5000 0.5000
P: 0.5000 0.0000 0.5000
Cl: 0.0000 0.0000 0.5000


6.
Density functional theory data (PBE-GGA) for a relaxed structure of Sr2SmAuO5.

## Properties
Formation energy (no corrections): -2.12 eV per atom
Crystal system: orthorhombic
Symmetry: Cmc2_1, No. 36
Volume: 15.9 Å³/atom

abc: 7.1482 7.1482 11.5502
angles: 90.00 90.00 151.03
Sites, in units of the cell vectors:
Sr: 0.0923 0.9077 0.5000
Sr: 0.1425 0.8575 0.1068
Sr: 0.8575 0.1425 0.6068
Sr: 0.9077 0.0923 0.0000
Sm: 0.2124 0.7876 0.8355
Sm: 0.7876 0.2124 0.3355
Au: 0.4754 0.5246 0.2589
Au: 0.5246 0.4754 0.7589
O: 0.0597 0.9403 0.8966
'''
11. In summing up, the Chairman concluded that the Committee had deliberated on a number of issues but members could not reach any consensus over the Bill. It was also noted that the Administration opposed the Bill. Nevertheless, members agreed that scrutiny of the Bill had been completed and the Committees deliberations be reported to the House Committee on 18 April 1997. The next meeting originally scheduled for 16 April 1997 would not be held. Members also noted that the Second Reading debate of the Bill would resume on a date to be decided by Miss LOH.
12. The meeting ended at 3:45 p.m.
== These calculated crystals were left in the page by mistake ==
# LaSc2AlPd4 | Alexandria via LeMat-Bulk | PBE | optimized geometry
# DOS(E_F)	15.0	states/eV per cell
# calculated formation energy	-849	meV/atom
data_LaSc2AlPd4
_chemical_formula_sum 'La3 Sc6 Al3 Pd12'
_cell_length_a 4.5731
_cell_length_b 4.5731
_cell_length_c 25.9792
_cell_angle_alpha 90.00
_cell_angle_beta 90.00
_cell_angle_gamma 120.00
_space_group_name_H-M_alt 'R -3 m'
_space_group_IT_number 166
_space_group_name_Hall '-R 3 2"'
loop_
_atom_site_label
_atom_site_type_symbol
_atom_site_fract_x
_atom_site_fract_y
_atom_site_fract_z
La1 La 0.0000 0.0000 0.0000
Sc1 Sc 0.0000 0.0000 0.2371
Al1 Al 0.0000 0.0000 0.5000
Pd1 Pd 0.0000 0.0000 0.1331
Pd2 Pd 0.0000 0.0000 0.4009

# Li4NdSn2Pd | Alexandria via LeMat-Bulk | PBE | optimized geometry
# DOS(E_F)	12.4	states/eV per cell
# calculated formation energy	-398	meV/atom
data_Li4NdSn2Pd
_chemical_formula_sum 'Li12 Nd3 Sn6 Pd3'
_cell_length_a 4.7363
_cell_length_b 4.7363
_cell_length_c 23.8005
_cell_angle_alpha 90.00
_cell_angle_beta 90.00
_cell_angle_gamma 120.00
_space_group_name_H-M_alt 'R -3 m'
_space_group_IT_number 166
_space_group_name_Hall '-R 3 2"'
loop_
_atom_site_label
_atom_site_type_symbol
_atom_site_fract_x
_atom_site_fract_y
_atom_site_fract_z
Li1 Li 0.0000 0.0000 0.1046
Li2 Li 0.0000 0.0000 0.3646
Nd1 Nd 0.0000 0.0000 0.5000
Sn1 Sn 0.0000 0.0000 0.2469
Pd1 Pd 0.0000 0.0000 0.0000

# AlIn2Sb | Alexandria via LeMat-Bulk | PBE | optimized geometry
# distance to the lowest polymorph of the same formula	0.0000	eV/atom
# DOS(E_F)	3.0	states/eV per cell
# formation energy from raw total energies	71.9	meV/atom
data_AlIn2Sb
_chemical_formula_sum 'Al2 In4 Sb2'
_cell_length_a 7.6237
_cell_length_b 3.2556
_cell_length_c 8.3883
_cell_angle_alpha 90.00
_cell_angle_beta 96.03
_cell_angle_gamma 90.00
_space_group_name_H-M_alt 'C 1 m 1'
_space_group_IT_number 8
loop_
_space_group_symop_operation_xyz
'x,y,z'
'x,-y,z'
'x+1/2,y+1/2,z'
'x+1/2,-y+1/2,z'
loop_
_atom_site_label
_atom_site_type_symbol
_atom_site_fract_x
_atom_site_fract_y
_atom_site_fract_z
Al1 Al 0.0000 0.0000 0.0000
In1 In 0.0045 0.5000 0.4892
In2 In 0.2594 0.0000 0.7643
Sb1 Sb 0.2368 0.5000 0.2076

# NaAgHg2F8 | Alexandria via LeMat-Bulk | PBE | optimized geometry
# formation energy from raw total energies	-1510.9	meV/atom
data_NaAgHg2F8
_chemical_formula_sum 'Na1 Ag1 Hg2 F8'
_cell_length_a 4.6659
_cell_length_b 5.6943
_cell_length_c 7.1739
_cell_angle_alpha 94.11
_cell_angle_beta 90.03
_cell_angle_gamma 90.06
_space_group_name_H-M_alt 'P -1'
_space_group_IT_number 2
loop_
_space_group_symop_operation_xyz
'x,y,z'
'-x,-y,-z'
loop_
_atom_site_label
_atom_site_type_symbol
_atom_site_fract_x
_atom_site_fract_y
_atom_site_fract_z
Na1 Na 0.0000 0.0000 0.0000
Ag1 Ag 0.0000 0.0000 0.5000
Hg1 Hg 0.4993 0.4975 0.2530
F1 F 0.0013 0.7635 0.6934
F2 F 0.0009 0.7712 0.2746
F3 F 0.4973 0.2462 0.0247
F4 F 0.4990 0.2476 0.5227
Legislative Council Secretariat
27 May 1997
Last Updated on 14 December 1998